The secret to flat abs without endless stomach crunches and sit-ups

I get a lot of questions from people about the secret to flat abs without endless stomach crunches and sit-ups. Many find it relatively easy to lose weight in general, tone their upper body, arms and legs, but still be left with a giggly, protruding gut or, as some say, a “buddha belly.” If you’ve been committed to an exercise and core strength training routine but you still look down and see an unwanted paunch, you’re not alone. And, one potential solution might surprise you.

Proper Digestion

There’s more to killer abs than just exercise and abdominal crunches, turn out that there’s a direct relationship between the health of your digestive system and your overall look, too. Not only does what you eat affect whether or not you pack on pounds, but what you eat can also impact how your digestive system works, how it processes and eliminates waste effectively, as well as how it helps support the surrounding muscles and tissue.

== Data records from another source follow ==
-- begin --
KNiF3: optimized geometry, PBE with a Hubbard U.

SG   No. 14
DOS at the Fermi energy   0.00 states/eV per cell
Final energy   -4.2736 eV/atom

abc: 22.1112 5.3929 8.4458
angles: 90.00 163.53 90.00
Last column: magnetic moment on the atom in μB.
Atoms (fractional coordinates):
F: 0.3674 0.4162 0.2731  0.05
F: 0.1989 0.4323 0.5387  0.06
F: 0.1326 0.9162 0.2269  0.05
F: 0.6326 0.5838 0.7269  0.05
F: 0.4152 0.8204 0.5934  0.03
K: 0.0076 0.7706 0.6393  0.00
K: 0.4924 0.2706 0.8607  0.00
F: 0.3011 0.9323 0.9613  0.06
Ni: 0.9669 0.2395 0.8206  1.83
F: 0.5848 0.1796 0.4066  0.03
K: 0.5076 0.7294 0.1393  0.00
F: 0.6989 0.0677 0.0387  0.06
Ni: 0.5331 0.7395 0.6794  1.83
F: 0.9152 0.6796 0.0934  0.03
Ni: 0.4669 0.2605 0.3206  1.83
Ni: 0.0331 0.7605 0.1794  1.83
K: 0.9924 0.2294 0.3607  0.00
F: 0.0848 0.3204 0.9066  0.03
F: 0.8674 0.0838 0.7731  0.05
F: 0.8011 0.5677 0.4613  0.06

~~~~~

No. 1
## U2PaO8 (PBE-GGA)

Data for crystalline U2PaO8 at its relaxed geometry. Values from VASP.

The structure in Quantum ESPRESSO input format:
```
&SYSTEM
  ibrav = 0, nat = 11, ntyp = 3
/
ATOMIC_SPECIES
O 16.00 O.upf
U 238.03 U.upf
Pa 231.04 Pa.upf
CELL_PARAMETERS angstrom
-0.4669 1.7877 -3.4096
-4.8425 -4.0839 0.7274
-2.6404 5.1997 3.0879
ATOMIC_POSITIONS crystal
O 0.7960 0.5919 0.4341
O 0.0768 0.1537 0.1598
O 0.3012 0.6025 0.9268
O 0.4230 0.8459 0.2739
O 0.5770 0.1541 0.7261
O 0.2040 0.4081 0.5659
O 0.6988 0.3975 0.0732
O 0.9232 0.8463 0.8402
U 0.2541 0.5082 0.2601
U 0.7459 0.4918 0.7399
Pa 0.5000 0.0000 0.0000
```

Results
The total magnetic moment comes out at 1.03 μB per cell. The calculation puts the density of states at the Fermi level at 6.4 states/eV/f.u. Its total energy is -9.7609 eV per atom.

No. 2
## PtW4Cl (PBE-GGA)

Data for crystalline PtW4Cl at its relaxed geometry. Values from VASP.

The structure in Quantum ESPRESSO input format:
```
&SYSTEM
  ibrav = 0, nat = 6, ntyp = 3
/
ATOMIC_SPECIES
W 183.84 W.upf
Cl 35.45 Cl.upf
Pt 195.08 Pt.upf
CELL_PARAMETERS angstrom
-0.9756 2.1489 4.7575
-0.0792 5.2801 0.5629
-4.5965 2.5070 0.8891
ATOMIC_POSITIONS crystal
W 0.3760 0.3760 0.8721
W 0.3760 0.3760 0.3760
W 0.3760 0.8721 0.3760
W 0.8721 0.3760 0.3760
Cl 0.7500 0.7500 0.7500
Pt 0.0000 0.0000 0.0000
```

Results
The total magnetic moment comes out at 0.00 μB per cell. The calculation puts the density of states at the Fermi level at 4.6 states/eV/f.u. Its total energy is -8.9309 eV per atom.

No. 3
## Ba3PmZn2O6 (PBE-GGA)

Data for crystalline Ba3PmZn2O6 at its relaxed geometry. Values from VASP.

The structure in Quantum ESPRESSO input format:
```
&SYSTEM
  ibrav = 0, nat = 12, ntyp = 4
/
ATOMIC_SPECIES
O 16.00 O.upf
Ba 137.33 Ba.upf
Zn 65.41 Zn.upf
Pm 145.00 Pm.upf
CELL_PARAMETERS angstrom
-2.2318 -3.7466 -4.4761
6.1292 1.1759 0.3221
0.8509 -5.6034 4.2660
ATOMIC_POSITIONS crystal
O 0.8310 0.6621 0.6989
O 0.8310 0.1690 0.6989
O 0.1690 0.3379 0.3011
O 0.3379 0.1690 0.6989
O 0.6621 0.8310 0.3011
O 0.1690 0.8310 0.3011
Ba 0.6667 0.3333 0.3587
-- stop --

Abs and an Upset Stomach

We’ve all experienced an upset stomach before that entails gas, cramps, bloating, general aches and pains, and even a distended abdomen. Imagine what it must look like on the inside, as your body fights off an irritant and in doing so, becomes inflamed. Inflammation is the body’s natural way of dealing with illness or injury, even something as minor as a dinner entree it doesn’t like. Food allergies, even minor ones that may not seem to bother you and food intolerance typically cause inflammation in the gut.

Here’s a potential missing link: the greater level of inflammation in your digestive system, the greater likelihood that your abdominal muscles will not respond to exercise. Why? Well, when you’ve got a stomach that’s inflamed, giving you pain, that inflammation can affect the abdominal muscles that are supposed to be stabilizing your core. In other words, those pain impulses that come from your digestive system can result in weakness and more pain in those regions of the abdominal wall. And, when those muscles become weak or disabled due to your (sick) digestive system, they aren’t much help to you and they won’t respond very well to your attempts to work them.

The term “digestive disorder” sounds serious, but it refers to just about any problem you might have with your digestive track, including minor nuisances like indigestion, heartburn, or simply an upset stomach. It’s no wonder we’ve got problems with our digestive systems with the availability of highly processed, poor quality foods just about every where we go, coupled by the fact many of us resort to fast foods while on-the-go.

A Diet That Agrees With Your Core

You know you have to make good choices when it comes to food, beverage, and getting proper exercise. It can be a challenge to eat well and exercise for purposes of losing or maintaining your ideal weight. But I bet you’ve never thought about how your digestive system can change the way your core responds to exercise. This takes the concept of “diet” to a whole new level. And, if you can factor this missing link in to your mentality when you’re grocery shopping, eating in a restaurant, or about to put something in your mouth, you might see the results you’ve finally been looking for. The goal is to get the internal workings of your core to be in harmony with the rest of your body so when you perform a core workout, and work those abs, you see the rewards in a tighter, flatter belly.

Here are a few tips:

  • Enjoy your food by chewing it slowly and completely. Swallowing large particles of food puts stress on your digestive system. This will also help reduce the overall amount of foo d you eat.
  • Avoid processed foods, especially foods high in preservatives, sodium, fillers, artificial sweeteners and chemicals. Read labels while in the supermarket. Watch out for words like “partially hydrogenated,” “artificially flavored,” or any words you don’t understand.
  • Consider drinking organic dairy and juices, as pasteurization can kill the nutrients your body needs for proper digestion.
  • Limit your caffeine and alcohol consumption.
  • Try to target foods that bother you and avoid them. Food allergies, especially minor ones, can be hard to figure out. A food journal can facilitate this. Record any time you feel some discomfort following a meal.
  • Drink lots of water! Dehydration leads to a host of problems. Being fully loaded with water will also allow you to get the most of your workout.


And, of course, don’t forget to keep up with your exercise and abdominal work routine. The road to a flat belly entails a combination of efforts. You’ll not only look better, but you’ll feel better, too!